Meet our Sunday School Teachers!
[Unrelated to this text: crystal structures]
<<<
Density functional theory data (PBE) for a relaxed Tb4Dy4Mg crystal.

The space group is C2/m (No. 12) and the conventional cell measures 6.186, 17.230 and 10.552 Å, with angles of 90.00, 97.37 and 90.00 degrees. The distinct sites, in fractional coordinates, are Tb at (0.000, 0.144, 0.000), Tb at (0.000, 0.316, 0.500), Tb at (0.007, 0.142, 0.333), Dy at (0.004, 0.317, 0.167), Dy at (0.224, 0.500, 0.443), Dy at (0.226, 0.500, 0.116) and Mg at (0.241, 0.500, 0.782).

The mass density comes out at 7.80 g/cm³. Its energy of formation from the pure elements is 0.068 eV per atom.



Density functional theory data (PBE) for a relaxed Sc2TeOs crystal.

The space group is P4mm (No. 99) and the conventional cell measures 3.246, 3.246 and 7.910 Å, with angles of 90.00, 90.00 and 90.00 degrees. The distinct sites, in fractional coordinates, are Sc at (0.000, 0.000, 0.000), Sc at (0.500, 0.500, 0.320), Te at (0.000, 0.000, 0.579) and Os at (0.500, 0.500, 0.792).

For the uncorrected formation energy, the calculation gives -10 meV per atom. The mass density comes out at 8.13 g/cm³.



Density functional theory data (PBE) for a relaxed Al2TlCd2 crystal.

The space group is P4/mbm (No. 127) and the conventional cell measures 8.766, 8.766 and 2.992 Å, with angles of 90.00, 90.00 and 90.00 degrees. The distinct sites, in fractional coordinates, are Al at (0.120, 0.380, 0.000), Tl at (0.000, 0.000, 0.500) and Cd at (0.175, 0.675, 0.500).

The mass density comes out at 6.98 g/cm³. Its energy of formation from the pure elements is 0.187 eV per atom. For the energy above the lowest structure with this stoichiometry, the calculation gives 22 meV/atom.



Density functional theory data (PBE) for a relaxed Ca2Ac3Ge3 crystal.

The space group is P6_3/mcm (No. 193) and the conventional cell measures 9.2675, 9.2675 and 6.8392 Å, with angles of 90.00, 90.00 and 120.00 degrees. The distinct sites, in fractional coordinates, are Ca at (0.3333, 0.6667, 0.0000), Ac at (0.0000, 0.2691, 0.2500) and Ge at (0.0000, 0.3842, 0.7500).

The mass density comes out at 6.39 g/cm³. Its energy of formation from the pure elements is -0.648 eV per atom. For the energy above the lowest structure with this stoichiometry, the calculation gives 0 meV/atom.



Density functional theory data (PBE) for a relaxed LiHI2O crystal.

The space group is P4/mmm (No. 123) and the conventional cell measures 6.145, 6.145 and 3.355 Å, with angles of 90.00, 90.00 and 90.00 degrees. The distinct sites, in fractional coordinates, are Li at (0.000, 0.000, 0.000), H at (0.500, 0.500, 0.500), I at (0.000, 0.500, 0.000) and O at (0.000, 0.000, 0.500).

The mass density comes out at 3.64 g/cm³. For the energy above the lowest structure with this stoichiometry, the calculation gives 371 meV/atom.



Density functional theory data (PBE) for a relaxed HgH5Pd4 crystal.
>>>
Immanuel’s Faith Formation team is excited to share with you our Sunday School teachers for the 2022-23 school year! We look forward to seeing you during Education Hour from 9:15am-10:15am on Sunday mornings beginning September 11th!
Beth Boxell
Birth to 3
Elizabeth (Beth) has been a member of Immanuel since May of 2018. An upper elementary teacher by trade, she currently stays at home with her three kids - Zach, Molly, and Abby. Beth grew up in Colorado, went to college at Valpo in Indiana, and has lived in Watertown since 2017. She is so excited to teach the littlest members all about Jesus' love, grace, and the joys of being together as a church. Come sing and play with all your friends the first Sunday of the month!
Materials data, kept here for reference
____________
1.
A plane-wave DFT calculation with PBE was carried out for a relaxed Cs2ThSbO6 crystal.

Results
The total magnetization comes out at 2.2 Bohr magnetons per cell. The value obtained for the total DFT energy (no corrections) is -63.37 eV per formula unit. Its uncorrected formation energy is -2.037 eV per atom.

Unit cell a=6.213 b=6.213 c=8.787 alpha=90.00 beta=90.00 gamma=90.00
Site moments in Bohr magnetons follow the coordinates.
Fractional coordinates of all 20 atoms:
O1 0.767 0.517 0.000  0.15
O2 0.500 0.250 0.733  0.16
O3 0.733 0.483 0.500  0.15
Sb1 0.500 0.250 0.500  -0.02
Sb2 0.000 0.750 0.000  -0.02
Cs1 0.000 0.250 0.250  0.01
O4 0.000 0.750 0.233  0.16
Cs2 0.000 0.250 0.750  0.01
O5 0.233 0.983 0.000  0.15
O6 0.267 0.017 0.500  0.15
O7 0.267 0.483 0.500  0.15
O8 0.500 0.250 0.267  0.16
Cs3 0.500 0.750 0.250  0.01
O9 0.733 0.017 0.500  0.15
O10 0.767 0.983 0.000  0.15
O11 0.233 0.517 0.000  0.15
Cs4 0.500 0.750 0.750  0.01
Th1 0.500 0.250 0.000  -0.03
O12 0.000 0.750 0.767  0.16
Th2 0.000 0.750 0.500  -0.03

---

2.
A plane-wave DFT calculation with PBE was carried out for a relaxed Cs2ThSb2O6 crystal.

Results
The total magnetization comes out at 0.0 Bohr magnetons per cell. The value obtained for the total DFT energy (no corrections) is -70.37 eV per formula unit. Its uncorrected formation energy is -2.113 eV per atom.

Unit cell a=6.395 b=6.396 c=10.302 alpha=123.05 beta=90.00 gamma=120.00
Fractional coordinates of all 11 atoms:
O1 0.238 0.007 0.657
O2 0.232 0.464 0.347
Sb1 0.005 0.010 0.224
Th1 0.500 0.000 0.500
O3 0.769 0.007 0.657
Cs1 0.719 0.439 0.305
O4 0.231 0.993 0.343
O5 0.768 0.536 0.653
Cs2 0.281 0.561 0.695
Sb2 0.995 0.990 0.776
O6 0.762 0.993 0.343

---

3.
A plane-wave DFT calculation with PBE was carried out for a relaxed CsTh2SbO8 crystal.

Results
The total magnetization comes out at 0.0 Bohr magnetons per cell. The value obtained for the total DFT energy (no corrections) is -87.91 eV per formula unit. Its uncorrected formation energy is -2.369 eV per atom.

Unit cell a=4.961 b=4.958 c=8.398 alpha=88.13 beta=88.14 gamma=90.69
Fractional coordinates of all 12 atoms:
O1 0.393 0.393 0.500
O2 0.607 0.607 0.500
Sb1 0.000 0.000 0.000
Cs1 0.000 0.000 0.500
Th1 0.521 0.521 0.213
O3 0.293 0.292 0.015
O4 0.834 0.219 0.823
Th2 0.479 0.479 0.787
O5 0.781 0.166 0.177
O6 0.707 0.708 0.985
O7 0.219 0.834 0.823
O8 0.166 0.781 0.177
____________
Back to the piece
Jana & Tim Strobel
4K & 5K
Jana & Tim Strobel are excited to be teaching 4K and 5K Sunday school again this year! Jana is an art teacher and Tim is a farmer. Their claim to fame is that they’ve been bringing a lamb to Immanuel’s Sunday School since 1995. Jana & Tim were married here and have two daughters that are 9 and 12. They look forward to telling Bible stories in exciting ways and doing craft projects that go along with them!
Ruth Mack
1st Grade & 2nd Grade
Mrs. Mack, a life-long member of Immanuel, is thrilled to be teaching 1st & 2nd grade Sunday School! She lives in Beaver Dam and enjoys telling stories, reading, walking, flying, giving blood, tulips, making memories, and the color RED!
Mya Grosenick
1st Grade & 2nd Grade
Mya is excited to be helping out in Mrs. Mack’s classroom again this year! She’s a sophomore at Watertown High School and participates on the swim team, wrestling and lacrosse. She also enjoys working as a lifeguard at the Aquatic Center.
Katie Bartelt
3rd Grade
Katie Bartelt teaches our 3rd grade class. This is her 2nd year teaching at Immanuel, and her 6th year teaching Sunday School, which she also did in her previous congregation. Katie lives in Johnson Creek with her husband Richie, children Austin, Kylie and Cassadee, and their dog, Toffee. She works in Madison at the DMV overseeing the Citations and Withdrawals Section. It is a challenging but always exciting job! She enjoys reading, watching the Brewers and Badgers and enjoying the great outdoors while camping. Katie looks forward to working with the Sunday School children and Faith Formation team throughout the next year!
Sue Putra
4th, 5th, & 6th Grade
Yes! She’s back in the classroom! Sue is so excited to teach 4th through 6th grade. She taught 4th grade Sunday School and high school Sunday School a “few” years ago, and is looking forward to learning new things along with the students. Classes will be interactive, include treats , and be relevant to what is happening in school and community. Sue welcomes students and their friends to join our class each Sunday. Had a sleepover Saturday night? No problem! Bring your friends and she’ll provide breakfast snacks. Sue can’t wait to see you in September!